This past fall, Ariella Aisha Azoulay, a guest lecturer from Brown University, was invited to Cornell University’s architecture department to speak to students. Azoulay gave a biased, anti-Zionist presentation titled “Palestine Is There, Where It Has Always Been.” In it, she showed photographs of the early pioneers of the State of Israel working the land, each with their faces blacked out. She excused this erasure by saying, “I can’t bear to look at them.”
First of all, the event should have been an apolitical and factual lecture on architecture. What makes it more disturbing is that in a caption for one of her photographs that advertised the lecture, Azoulay singled out Jewish soldiers. She didn’t describe them as Israeli or Zionist soldiers, but as Jewish — resulting in a statement that is not just anti-Zionist but antisemitic.
One of the revamped photographs is the famous one of David Ben-Gurion, Israel’s first prime minister, declaring the establishment of modern-day Israel on May 14, 1948. In the doctored version, Azoulay erased not only Ben-Gurion and the rest of the people present, but also the hanging portrait of Theodor Herzl and the two Israeli flags.
This action is unsurprising considering Azoulay’s history of anti-Zionist views. The professor is a vigorous advocate of the BDS movement, which seeks to delegitimize Israel. She has compared Israeli actions to those of the Nazis, and called Israel an example of colonialism. Of course, Azoulay ignores the abundant historical and genetic evidence of a continual Jewish presence in Israel for thousands of years.
One of the most disturbing parts of Azoulay’s lecture was the response from those present.
At the outset, the Cornell chair of architecture, Andrea Lee Simitch, acknowledged that the lecture was controversial and promised to organize a future discussion with different viewpoints. In response, some 1,000 academics, architects, and Cornellians signed an open letter against bringing in another speaker. Their fear of engaging in dialogue and refusal to hear another side is the antithesis of academia, and a clear example of censorship.
This is not the only recent instance of a guest speaker at Cornell pushing an anti-Israel agenda.
In November, assistant professor Julia Chang invited Sa’ed Atshan, himself an assistant professor of peace and conflict studies at Swarthmore College and author of Queer Palestine and the Empire of Critique, to address her students as part of her Gender, Feminist and Sexuality Studies course.
As preparation for the lecture, the professor required the students to read the preface and second chapter of the speaker’s book, which was an extensive “pinkwashing” accusation against Israel. Pinkwashing is another trope used in anti-Israel propaganda that accuses Israel of deflecting attention away from the plight of the Palestinians by focusing the public eye on Israel’s LGBTQ-friendly policies.
Records of crystals that have nothing to do with the text >
- - -
A relaxed structure of KTbSc4S8. Source: the Alexandria database, functional PBE.

**SG**: R3m, No. 160
**E_form (uncorrected)**: -1776 meV/atom
**Electronic total energy**: -88.9 eV/cell

Lattice parameters (Å, degrees): 8.0063 8.0063 8.0063 58.23 58.23 58.23
Element x y z (fractional)
K 0.0000 0.0000 0.0000
Tb 0.6376 0.6376 0.6376
Sc 0.1171 0.6379 0.6379
Sc 0.2601 0.2601 0.2601
Sc 0.6379 0.1171 0.6379
Sc 0.6379 0.6379 0.1171
S 0.3852 0.3852 0.8689
S 0.3852 0.8689 0.3852
S 0.3902 0.3902 0.3902
S 0.4329 0.8764 0.8764
- - -
Here the text continues >
This is a straw-man argument. Israel is the only real democracy in the Middle East, and all citizens enjoy equal rights under the law regardless of race, background, or sexuality. The insistence that Israel uses its status as an LGBTQ-friendly country as propaganda holds no legitimate weight. It’s simply a recitation of facts.
Atshan is not an unbiased figure. He has taken part in national conferences for Students for Justice in Palestine (SJP), an organization that has been known to support terrorists. His speech at the 2014 SJP conference, which included the comment, “We all know Israel is an apartheid state and should be boycotted,” received a standing ovation. He has donated to UNRWA, which has been accused of providing antisemitic textbooks to Palestinian schoolchildren and of allowing the storage of arms for Hamas terrorists. Like Azoulay, Atshan has a clear anti-Israel prejudice that comes through in his work.
The common thread that comes out of the above incidents is sobering. In both cases, professors attempted to impress their own opinions on students. Even more disturbing, in the case of some Cornellians, is the apparent resistance to entertaining another point of view.
The university needs to take a stronger stance against allowing known anti-Zionist professors to present their prejudices as the only legitimate perspective. If not, students will walk away with the idea that when faced with an opinion they don’t agree with, they can do what Azoulay did and crudely erase it. No college should permit — or want to permit — that.
Originally published in The Algemeiner.
Contributed by 2020-2021 Bar-Ilan University CAMERA Fellow Tehilla Katz.